By far Twitter is my most used and most loved social network. It’s simple, fast and let’s me talk to people easily. The 140 character limit, unchanged since day one of the service, is still it’s biggest plus point. With no room to ramble information is passed and consumed at a far denser rate than anywhere else. It also leads to the best snarks online.
Launched almost six years ago the first Twitter was pretty bare bones. Web only, driven by texting and with a simple follow model it started slowly and didn’t really take off for another year. Like most social networks I signed up, played with it for a few days and then promptly deleted my account and left. Empty experience, most friends weren’t interested and I just didn’t get it. A few months later I re-registered and loved it. It had seen growth in the tech community, there were loads of people worth following and it had become a useful service for me.
Twitter’s feature growth was driven by it’s early adopters. Hashtags, retweeting and @ replies were officially supported by Twitter long after they had become mainstream amongst users. Third party developers drove Twitters growth via some great clients. Twitterrific was one of the first on the Mac and then the iPhone. Twitter was much more usable on a phone (computer too) via an application compared to the website. Over the last three years there’s been quite the third party market in Twitter clients with many adding features that Twitter doesn’t support – searching, archiving, muting (user, client but by far the best – hashtag) and timeline syncing across devices. All the while Twitter has been focussing on growth which makes for a richer network and brings with it the opportunity to monetise. It’s the chase of the dollar that brings with it some fear.
For many years people pondered how Twitter was going to monetise it’s service. Providing a service like Twitter isn’t cheap nor easy. How many fail whales did we see in 2008? It’s now pretty much rock solid despite it’s growth and that robustness has come at the costs of millions and millions of VC dollars. VC dollars that it now has to pay back.
Last year on it’s developer group Twitter warned third party developers.
More specifically, developers ask us if they should build client apps that mimic or reproduce the mainstream Twitter consumer client experience. The answer is no.
If you are an existing developer of client apps, you can continue to serve your user base, but we will be holding you to high standards to ensure you do not violate users’ privacy, that you provide consistency in the user experience, and that you rigorously adhere to all areas of our Terms of Service. We have spoken with the major client applications in the Twitter ecosystem about these needs on an ongoing basis, and will continue to ensure a high bar is maintained.
_Someone pasted records of crystals at this point_
........
# Tb2Sm6Sc3
Theoretical X-ray diffraction stick pattern, a wavelength of 1.5418 Å. Input: a structure optimized by DFT (PBE).
Lines closer than 0.1° are merged.

Lattice parameters (Å, degrees): 5.9603 8.2956 8.3469 105.57 108.07 108.20
Atoms (fractional coordinates):
Tb 0.0391 0.3180 0.3583
Tb 0.9609 0.6820 0.6417
Sm 0.0765 0.1428 0.7093
Sm 0.3485 0.9501 0.1221
Sm 0.4906 0.5943 0.8277
Sm 0.5094 0.4057 0.1723
Sm 0.6515 0.0499 0.8779
Sm 0.9235 0.8572 0.2907
Sc 0.0000 0.5000 0.0000
Sc 0.4368 0.7655 0.4424
Sc 0.5632 0.2345 0.5576

Main lines, sorted by position (10° ≤ 2θ ≤ 80°):
- 16.4 deg, intensity 27
- 25.3 deg, intensity 22
- 30.1 deg, intensity 50
- 31.7 deg, intensity 70
- 31.9 deg, intensity 90
- 32.3 deg, intensity 82
- 33.2 deg, intensity 56
- 33.5 deg, intensity 100
- 35.1 deg, intensity 22
- 46.4 deg, intensity 24

=====

# Na4Bi2PC4O16
Theoretical X-ray diffraction stick pattern, a wavelength of 1.5418 Å. Input: a structure optimized by DFT (PBE).
Lines closer than 0.1° are merged.

Lattice parameters (Å, degrees): 10.6845 10.5580 10.1803 61.99 60.74 57.27
Atoms (fractional coordinates):
Na 0.0766 0.6734 0.0766
Na 0.0780 0.6720 0.6720
Na 0.3266 0.9234 0.3266
Na 0.3280 0.9220 0.9220
Na 0.6720 0.0780 0.0780
Na 0.6734 0.0766 0.6734
Na 0.9220 0.3280 0.3280
Na 0.9234 0.3266 0.9234
Bi 0.0000 0.5000 0.5000
Bi 0.5000 0.0000 0.5000
Bi 0.5000 0.5000 0.0000
Bi 0.5000 0.5000 0.5000
P 0.1250 0.1250 0.1250
P 0.8750 0.8750 0.8750
C 0.2620 0.6614 0.2923
C 0.2843 0.2923 0.6614
C 0.2923 0.2843 0.2620
C 0.3386 0.7380 0.7157
C 0.6614 0.2620 0.2843
C 0.7077 0.7157 0.7380
C 0.7157 0.7077 0.3386
C 0.7380 0.3386 0.7077
O 0.0547 0.3070 0.0697
O 0.0687 0.0697 0.3070
O 0.0697 0.0687 0.0547
O 0.1405 0.6529 0.4139
O 0.1543 0.3027 0.6684
O 0.1579 0.4061 0.2722
O 0.2722 0.6638 0.1579
O 0.2926 0.4139 0.6529
O 0.3027 0.1543 0.3746
O 0.3070 0.0547 0.0687
O 0.3316 0.6254 0.8457
O 0.3362 0.7278 0.5939
O 0.3471 0.8595 0.7074
O 0.3746 0.6684 0.3027
O 0.4061 0.1579 0.6638
O 0.4139 0.2926 0.1405
O 0.5861 0.7074 0.8595
O 0.5939 0.8421 0.3362
O 0.6254 0.3316 0.6973
O 0.6529 0.1405 0.2926
O 0.6638 0.2722 0.4061
O 0.6684 0.3746 0.1543
O 0.6930 0.9453 0.9313
O 0.6973 0.8457 0.6254
O 0.7074 0.5861 0.3471
O 0.7278 0.3362 0.8421
O 0.8421 0.5939 0.7278
O 0.8457 0.6973 0.3316
O 0.8595 0.3471 0.5861
O 0.9303 0.9313 0.9453
O 0.9313 0.9303 0.6930
O 0.9453 0.6930 0.9303

Main lines, sorted by position (10° ≤ 2θ ≤ 80°):
- 10.4 deg, intensity 100
- 19.1 deg, intensity 50
- 20.1 deg, intensity 35
- 20.5 deg, intensity 37
- 20.8 deg, intensity 65
- 29.9 deg, intensity 23
- 31.8 deg, intensity 21
- 33.6 deg, intensity 23
- 34.1 deg, intensity 25
- 38.9 deg, intensity 21
........
_Back to the text_
As we point out above, we need to move to a less fragmented world, where every user can experience Twitter in a consistent way
Fairly bleak and although very little has happened since then a post on the Twitter developer blog follows up on that warning.
Ultimately, we want to make sure that the Twitter experience is straightforward and easy to understand — whether you’re on or elsewhere on the web.
We’re building tools for publishers and investing more and more in our own apps to ensure that you have a great experience everywhere you experience Twitter, no matter what device you’re using. You need to be able to see expanded Tweets and other features that make Twitter more engaging and easier to use. These are the features that bring people closer to the things they care about. These are the features that make Twitter Twitter.
I don’t need to see expanded tweets thanks very much and I’m sure the point of this post isn’t to tell third party dev’s that they need to show expanded tweets and Twitter cards. It’s adverts. It’s potentially cut down access to API’s. For me it feels like winter is coming.
**Attached: materials data:**
The following is a calculated powder diffractogram of SrCaZrFeO6. It was derived from a crystal structure in the Materials Project, relaxed with GGA+U, using Cu Kα X-rays.
Neutral-atom scattering factors, no anomalous dispersion.

Cell lengths 8.0446, 8.0446, 8.0446 Å; angles 90.00, 90.00, 90.00 degrees
Space group F-43m (No. 216)
One atom of each set of equivalent atoms:
Sr (0.0000, 0.0000, 0.0000) x4
Ca (0.0000, 0.0000, 0.5000) x4
Zr (0.2500, 0.2500, 0.2500) x4
Fe (0.2500, 0.2500, 0.7500) x4
O (0.0077, 0.2500, 0.7500) x24

Principal peaks in the range 2θ = 10–90°, sorted by position:
| h k l | two_theta | I (rel.) |
| --- | --- | --- |
| 1 1 1 | 19.11 | 10 |
| 2 2 0 | 31.45 | 100 |
| 4 0 0 | 45.08 | 40 |
| 4 2 2 | 56.00 | 38 |
| 4 4 0 | 65.65 | 23 |
| 6 2 0 | 74.61 | 16 |

***

The following is a calculated powder diffractogram of Li4Mn3O6F. It was derived from a crystal structure in the Materials Project, relaxed with GGA+U, using Cu Kα X-rays.
Neutral-atom scattering factors, no anomalous dispersion.

Cell lengths 9.2475, 4.4484, 6.4569 Å; angles 90.00, 98.29, 90.00 degrees
Space group C2/m (No. 12)
One atom of each set of equivalent atoms:
Li (0.0752, 0.0000, 0.2116) x4
Li (0.2192, 0.0000, 0.6393) x4
Mn (0.0000, 0.5000, 0.5000) x2
Mn (0.1453, 0.5000, 0.9257) x4
O (0.0572, 0.5000, 0.2118) x4
O (0.1571, 0.0000, 0.9406) x4
O (0.1993, 0.5000, 0.6382) x4
F (0.0000, 0.0000, 0.5000) x2

Principal peaks in the range 2θ = 10–90°, sorted by position:
| h k l | two_theta | I (rel.) |
| --- | --- | --- |
| 2 0 -1 | 22.21 | 100 |
| 0 2 0 | 40.56 | 40 |
| 4 0 1 | 43.92 | 29 |
| 2 0 -3 | 44.25 | 30 |
| 4 2 1 | 61.31 | 18 |
| 2 2 -3 | 61.57 | 19 |

***

Repeat the first record exactly.
The following is a calculated powder diffractogram of SrCaZrFeO6. It was derived from a crystal structure in the Materials Project, relaxed with GGA+U, using Cu Kα X-rays.
Neutral-atom scattering factors, no anomalous dispersion.

Cell lengths 8.0446, 8.0446, 8.0446 Å; angles 90.00, 90.00, 90.00 degrees
Space group F-43m (No. 216)
One atom of each set of equivalent atoms:
Sr (0.0000, 0.0000, 0.0000) x4
Ca (0.0000, 0.0000, 0.5000) x4
Zr (0.2500, 0.2500, 0.2500) x4
Fe (0.2500, 0.2500, 0.7500) x4
O (0.0077, 0.2500, 0.7500) x24

Principal peaks in the range 2θ = 10–90°, sorted by position:
| h k l | two_theta | I (rel.) |
| --- | --- | --- |
| 1 1 1 | 19.11 | 10 |
| 2 2 0 | 31.45 | 100 |
| 4 0 0 | 45.08 | 40 |
| 4 2 2 | 56.00 | 38 |
| 4 4 0 | 65.65 | 23 |
| 6 2 0 | 74.61 | 16 |

***

What did the first record say?
The following is a calculated powder diffractogram of SrCaZrFeO6. It was derived from a crystal structure in the Materials Project, relaxed with GGA+U, using Cu Kα X-rays.
What makes Twitter Twitter is the interaction with other people. Talking, sharing and learning. It works on so many levels and has brought many people together. It breaks news quicker than any other network and for many has become a key tool…even a part of their life. Now it looks like Twitter is trying to close down on what others can do with their data. That’s the bit that annoys me though. It’s my tweets. It’s my data yet I can do so very little with it.
So many people have put so much into Twitter yet can’t get any of that data back out. Over time Twitter have added more and more restrictions to their initially fully open API. The majority of users can’t see their full Twitter history. Searching across that amazingly rich data set is a joke. Why can’t I export my tweets? Why hasn’t Twitter addressed the spam issues that plague the network? These are all features the majority of users would benefit from but instead we have seen new features recently to view stories on Twitter and make it easier to drive traffic to other sites.
┌──
# 1
Diffraction record for PmAg. The PXRD pattern is theoretical, not measured: it uses a cell relaxed with PBE and λ = 1.5418 Å (Cu Kα).
Kinematic intensities with the Lorentz-polarization factor, no thermal factor.

Peak list (6 most intense, 10° ≤ 2θ ≤ 90°, by angle)
(hkl)  2θ/deg  I/Imax
2 0 0  29.13  100
2 2 0  41.67  75
2 2 2  51.65  26
4 0 0  60.40  12
4 2 0  68.44  33
4 2 2  76.06  25

Crystal structure
Cell: 6.131 6.131 6.131 Å, 90.00 90.00 90.00°
Fractional coordinates of all 8 atoms:
Pm 0.000 0.000 0.000
Pm 0.000 0.500 0.500
Pm 0.500 0.000 0.500
Pm 0.500 0.500 0.000
Ag 0.000 0.000 0.500
Ag 0.000 0.500 0.000
Ag 0.500 0.000 0.000
Ag 0.500 0.500 0.500

***

# 2
Diffraction record for Dy2BrNCl. The PXRD pattern is theoretical, not measured: it uses a cell relaxed with PBE and λ = 1.5418 Å (Cu Kα).
Kinematic intensities with the Lorentz-polarization factor, no thermal factor.

Peak list (6 most intense, 10° ≤ 2θ ≤ 90°, by angle)
(hkl)  2θ/deg  I/Imax
1 0 0  28.43  26
0 1 1  29.83  18
1 0 2  33.72  100
1 0 3  39.44  25
1 1 0  50.34  25
0 2 2  61.97  17

Crystal structure
Cell: 3.625 3.625 9.995 Å, 90.00 90.00 120.00°
Fractional coordinates of all 5 atoms:
Dy 0.000 0.000 0.000
Dy 0.333 0.667 0.259
Br 0.000 0.000 0.454
N 0.667 0.333 0.128
Cl 0.333 0.667 0.823

***

# 3
Diffraction record for GdDyAg2Se4. The PXRD pattern is theoretical, not measured: it uses a cell relaxed with PBE and λ = 1.5418 Å (Cu Kα).
Kinematic intensities with the Lorentz-polarization factor, no thermal factor.

Peak list (6 most intense, 10° ≤ 2θ ≤ 90°, by angle)
(hkl)  2θ/deg  I/Imax
0 2 1  27.77  72
2 2 1  33.59  58
1 3 1  36.18  100
4 0 0  37.55  90
3 3 1  45.29  55
0 2 2  45.99  49

Crystal structure
Cell: 9.575 9.587 4.332 Å, 90.00 90.00 90.00°
Fractional coordinates of all 16 atoms:
Gd 0.000 0.000 0.000
Gd 0.500 0.500 0.000
Dy 0.000 0.500 0.592
Dy 0.500 0.000 0.592
Ag 0.250 0.250 0.796
Ag 0.250 0.750 0.796
Ag 0.750 0.250 0.796
Ag 0.750 0.750 0.796
Se 0.000 0.299 0.080
Se 0.000 0.701 0.080
Se 0.204 0.000 0.513
Se 0.296 0.500 0.513
Se 0.500 0.201 0.080
Se 0.500 0.799 0.080
Se 0.704 0.500 0.513
Se 0.796 0.000 0.513
└──
Twitter has opened up it’s service, invited everyone along and is now trying to own it all for themselves. It feels similar to Apple, Flickr and Facebook’s motives but Twitter for years traded on it’s open access policies. The change in tone is jarring.
I do hope this is just a badly worded blog post that is ambiguous in it’s message but I really doubt it. Already LinkedIn have removed ability to view tweets on their site and they directly referenced the Twitter post from today. When the post says “in the coming weeks, we will be introducing stricter guidelines around how the Twitter API is used.” what does that mean for TweetBot, Twitterrific et all?
If it is all about the money bring in a paid for service. This tweet from Aral Balkan sums up my feelings in 140 characters.
Twitter isn’t too big that it can’t fail. Myspace and RIM are two examples of companies that only a few short years ago were leaders in their own space. Be careful Twitter. Your next few steps could make or break your company. I dearly hope it’s not the latter.